I Really Dislike My (Easy) Job

in #life7 years ago (edited)

Bored at Work

Article #15, Published June 20, 2017 by Elijah Wasson

The entry is interrupted by quantum chemistry results:
<<<
{"formula": "C4H3BrO", "method": "wB97M-V/def2-TZVPD", "species": ["C", "C", "C", "C", "O", "Br", "H", "H", "H"], "coordinates": [[0.1512, -0.4236, -0.7107], [-0.4246, 1.8233, 0.1830], [0.6110, 1.0116, -0.1966], [-0.1922, -1.3399, 0.1341], [1.7786, 0.9486, -0.4192], [-1.5272, 1.6780, 1.6174], [0.1834, -0.3837, -1.7220], [-0.2860, -0.9510, 1.2781], [-0.2943, -2.3633, -0.1641]], "total_energy_ha": -2803.2683, "lumo_energy_ev": -1.590, "total_charge": 0, "de_lowest_ev": 4.086, "spin_multiplicity": 1}

---

{"formula": "C15H28Br4CaCl2CsNO10S3", "method": "wB97M-V/def2-TZVPD", "species": ["C", "C", "C", "O", "C", "O", "C", "S", "N", "Br", "C", "O", "O", "C", "C", "C", "C", "S", "O", "O", "Cl", "O", "C", "O", "C", "S", "H", "H", "H", "H", "H", "H", "H", "H", "H", "H", "H", "H", "H", "H", "H", "H", "H", "H", "H", "C", "C", "O", "H", "H", "H", "H", "H", "H", "Cs", "Cl", "Ca", "C", "Br", "Br", "Br", "H", "O", "H", "H"], "coordinates": [[-6.4918, 0.0596, -1.4882], [-5.0024, -0.0535, -1.1512], [-4.3243, -1.2748, -1.7491], [-3.3623, -0.9366, -2.7573], [-3.8482, -0.6198, -3.9436], [-5.0223, -0.5240, -4.2482], [-2.7680, -0.3591, -4.9638], [-1.0630, -0.5868, -4.4456], [-0.6102, 0.7771, -3.4555], [-1.5600, 2.3767, -3.7348], [-0.4751, 0.5197, -2.0489], [-0.8264, -0.4968, -1.5223], [0.1144, 1.5535, -1.4505], [1.2415, 1.2019, -0.6114], [1.0042, 1.5827, 0.8194], [0.1185, 0.5963, 1.5757], [0.9414, -0.4873, 2.2467], [-0.0874, -1.6505, 3.1133], [-0.6529, -2.5031, 2.1268], [0.6114, -2.3226, 4.1594], [-1.6289, -0.6732, 3.9948], [-4.8607, -0.2140, 0.2737], [-4.8411, 0.9544, 0.9612], [-5.6878, 1.2107, 1.7819], [-3.7018, 1.9394, 0.7609], [-2.2670, 1.3960, -0.2151], [-6.7630, -0.7658, -2.1220], [-7.1024, 0.0080, -0.6054], [-6.6950, 0.9419, -2.0694], [-4.4642, 0.8233, -1.4711], [-3.7436, -1.7236, -0.9634], [-5.0327, -2.0130, -2.0811], [-2.8928, -1.1092, -5.7321], [-2.9515, 0.5821, -5.4506], [1.5265, 0.1660, -0.7125], [2.0761, 1.7853, -0.9684], [1.9779, 1.5667, 1.2861], [0.5694, 2.5692, 0.8657], [-0.3897, 1.1401, 2.3565], [-0.6618, 0.1662, 0.9668], [1.6244, -0.0293, 2.9396], [1.4738, -1.0761, 1.5203], [-3.3607, 2.1970, 1.7458], [-4.0975, 2.8430, 0.3344], [-2.2735, 0.0846, 0.0501], [5.6957, -2.4066, 2.8289], [4.2725, -2.1678, 2.3910], [3.9260, -0.7932, 2.5542], [5.8215, -2.1157, 3.8763], [5.9865, -3.4546, 2.7121], [6.3732, -1.7987, 2.2368], [3.5948, -2.7712, 2.9922], [4.1259, -2.4543, 1.3329], [4.5302, -0.2753, 2.0101], [3.2029, -4.3527, 2.9283], [7.0691, -4.5349, 1.1100], [-0.0652, 4.7060, -4.2555], [8.3983, -0.2454, -0.3460], [9.0989, -1.7764, 0.5695], [7.7657, -0.6914, -2.1082], [7.0268, 0.6604, 0.6840], [9.2016, 0.4648, -0.4663], [0.2172, 4.7176, 1.3202], [-0.6187, 4.4164, 1.6913], [0.6074, 5.2512, 2.0206]], "total_energy_ha": -14503.3848, "lumo_energy_ev": -9.503, "total_charge": 2, "spin_multiplicity": 1}

---
>>>

A quote for the read:

"Happiness does not come from doing easy work but from the afterglow of satisfaction that comes after the achievement of a difficult task that demanded our best."
— Theodore Isaac Rubin

A very good quote, I must say...

As my very first official job ever, I work as kind of a cleanup/helper in a health club for seniors. The club includes a fitness gym, physical therapy, and massages. My job is to mainly stand at a desk in the gym for anyone who needs my help with machines, fitness classes, etc. I also have to go around and collect laundry, including towels and bed sheets from the physical therapy sessions. In the beginning of my shift, I wipe down and clean the all of the exercise equipment.

Now don’t get me wrong, I’m not complaining about having to do all those simple jobs -- I’m complaining about having to be inside in the ice-cold air conditioning all day being bored of my mind most of the time. I stand there so long just waiting for laundry to get done that, even though I already did all of my assigned cleaning duties, I end up just making rounds and cleaning all of the equipment again and again.


And this is exactly true for me.

Fortunately, I am allowed to use my laptop while I stand at the desk, so I don't go completely insane. Occasionally I will write a Steemit post or do some research on the stock market, but other than that, one eventually runs out of things to do on the internet.

In summary, I have worked long days out in the summer heat and very much enjoy that over being inside in the air conditioning folding laundry.

User Profile

I'm a 16-year-old junior in high school. I've figured out that Steemit is a great way to express my feelings about certain topics and get paid for it! I like to start all my articles with a quote to get the reader to understand the 'feeling' of the article before they start reading it.

See more of my posts here!


I don't know many people who actually LIKED their first job. I was a waitress and I HATED it. But the worst job I ever had was being a cashier at Toys R Us during the Christmas season. I lasted about 3 weeks then quit.

Well written, relatable and readable! Thanks for the great post! Keep uploading awesome content.

I will trade you places! I HATE the summer heat. I work outside ten hours a day and it sucks. If you have the time and the laptop, read Steemit posts, find new authors to follow, and engage in conversations. If you build a following you will likely see higher payouts on posts. This new Hardfork 19 change has drastically increased payouts, but we will see what the long-term effects are. You could also read about cryptocurrencies and alt coins and decide if you want to invest in them... just saying :)

Yeah this Hardfork 19 thing seems too good to be true. Payouts are going to be much larger, like this post, but how will it impact Steemit long-term?

[Next to the text, the page also holds quantum chemistry results]
-- begin --
No. 1
18
Properties=species:S:1:pos:R:3 method="wB97M-V/def2-TZVPD" smiles="C=C1CO[C@H]2C[C@]12C" lumo_ev=0.975 relative_energy_ev=6.693 total_charge=0
C 1.052 -0.860 1.342
C 0.466 -0.676 -0.040
C 1.672 -0.303 -1.006
C 0.648 0.719 -0.684
C -1.118 1.131 0.351
C -0.990 -0.425 -0.005
C -2.055 -1.140 -0.420
H 0.251 -0.841 2.050
H 1.673 -0.073 1.401
H 1.758 -1.753 1.433
H 2.776 -0.332 -0.736
H 1.582 -0.593 -1.971
H -0.083 0.638 -1.489
H -1.656 1.827 -0.417
H -1.433 1.425 1.426
H -1.638 -2.146 -0.817
H -3.022 -0.929 -0.248
O 0.219 1.513 0.267

=====

No. 2
19
Properties=species:S:1:pos:R:3 method="wB97M-V/def2-TZVPD" lumo_ev=4.354 relative_energy_ev=0.674 total_charge=-1
C 1.250 1.932 -0.931
C 1.057 1.813 0.421
N 0.852 0.674 1.152
C 0.258 0.795 2.469
H 1.216 1.065 -1.609
H 1.423 2.920 -1.381
H 1.106 2.714 1.045
H 0.385 -0.254 0.639
H 0.050 -0.214 2.833
H 0.962 1.282 3.143
H -0.700 1.361 2.465
C -0.256 -1.704 -1.022
O -0.289 -1.372 0.327
C -1.693 -1.836 -1.584
H 0.277 -2.624 -1.207
H 0.241 -0.936 -1.647
H -1.676 -2.132 -2.659
H -2.239 -0.891 -1.437
H -2.222 -2.592 -1.017

=====

No. 3
50
Properties=species:S:1:pos:R:3 method="wB97M-V/def2-TZVPD" smiles="O=C(OCCN1CC=CSCC1)C(Oc1ccc(Cl)cc1)Oc1ccc(Cl)cc1" lumo_ev=0.576 total_charge=0
O 3.052 -1.101 0.881
Cl -4.372 3.251 -0.644
Cl 1.266 -3.727 -6.405
O 1.140 1.147 -0.414
O 2.417 -0.369 -1.695
O 0.845 -1.421 1.520
S 0.075 4.313 4.014
C 1.851 -0.950 0.670
C 0.022 3.213 5.404
C -0.230 1.851 5.247
C -2.453 1.503 0.286
C -1.786 3.079 -1.409
C 0.635 -1.732 -4.655
C 2.647 -2.989 -4.216
C -1.182 0.944 0.333
C -0.480 2.547 -1.346
C 0.927 -0.888 -3.572
C 2.944 -2.164 -3.116
C -2.761 2.550 -0.585
C 1.507 -2.796 -4.957
C -0.170 1.489 -0.471
C 2.076 -1.121 -2.795
N 0.789 0.999 3.235
C 1.398 -0.265 -0.631
C -0.479 1.164 3.957
C 1.160 -1.513 2.916
C 0.750 3.449 2.514
C 1.571 -0.177 3.629
C 1.578 2.220 2.932
H 0.173 3.563 6.427
H -0.202 1.260 6.132
H -3.238 1.147 0.937
H -2.039 3.926 -2.047
H -0.219 -1.497 -5.281
H 3.376 -3.743 -4.474
H -0.970 0.147 1.037
H 0.271 2.974 -1.972
H 0.312 -0.023 -3.366
H 3.844 -2.292 -2.504
H 0.470 -0.730 -0.952
H -1.038 0.222 4.114
H -1.136 1.766 3.346
H 1.941 -2.293 3.047
H 0.294 -1.912 3.382
H 1.407 4.194 2.036
H -0.043 3.129 1.836
H 2.645 0.028 3.458
H 1.460 -0.345 4.714
H 2.132 2.470 3.827
H 2.284 1.962 2.138

=====

No. 4
9
Properties=species:S:1:pos:R:3 method="wB97M-V/def2-TZVPD" smiles=OC(O)OS lumo_ev=-0.974 relative_energy_ev=2.663 total_charge=0
C -0.354 0.056 0.243
O -0.977 1.286 0.078
O -1.205 -1.020 0.024
O 0.756 -0.116 -0.652
S 2.574 0.101 0.122
H 0.114 -0.131 1.302
H -1.213 1.204 -0.890
H -2.103 -0.848 0.101
H 3.173 -0.360 -0.987


Entry from OMol25: one molecule with the formula C5H9N in a non-equilibrium geometry (wB97M-V/def2-TZVPD).

SMILES: C=CCNC=C
highest occupied orbital energy: -7.86 eV
E_LUMO: 0.904 eV
E_tot: -250.5872 Eh
net charge: 0
2S+1: 1

Last columns: bonded neighbours and bond lengths (Å).
Geometry (Å):
1 N -1.189 0.170 0.241  C3 1.374, C4 1.493, H14 1.010
-- stop --

I don't suspect the big payouts to continue. Since they drain your voting power much faster, people will just scale down their voting power accordingly. (Using the voting power "slider".)